Exercise =
The reader should repeat everything underneath without altering anything.
Input =
........
Entry 1:
The following is a PBE calculation of a relaxed Ta8CoSe8 crystal, from the Materials Project database.

abc: 22.742 3.450 17.061
angles: 90.00 90.00 90.00
Element x y z (fractional)
Ta  0.017  0.250  0.166
Ta  0.045  0.250  0.958
Ta  0.054  0.750  0.303
Ta  0.057  0.750  0.683
Ta  0.123  0.750  0.841
Ta  0.167  0.250  0.707
Ta  0.185  0.750  0.561
Ta  0.245  0.250  0.448
Ta  0.255  0.750  0.948
Ta  0.315  0.250  0.061
Ta  0.333  0.750  0.207
Ta  0.377  0.250  0.341
Ta  0.443  0.250  0.183
Ta  0.446  0.250  0.803
Ta  0.455  0.750  0.458
Ta  0.483  0.750  0.666
Ta  0.517  0.250  0.334
Ta  0.545  0.250  0.542
Ta  0.554  0.750  0.197
Ta  0.557  0.750  0.817
Ta  0.623  0.750  0.659
Ta  0.667  0.250  0.793
Ta  0.685  0.750  0.939
Ta  0.745  0.250  0.052
Ta  0.755  0.750  0.552
Ta  0.815  0.250  0.439
Ta  0.833  0.750  0.293
Ta  0.877  0.250  0.159
Ta  0.943  0.250  0.317
Ta  0.946  0.250  0.697
Ta  0.955  0.750  0.042
Ta  0.983  0.750  0.834
Co  0.054  0.250  0.791
Co  0.446  0.750  0.291
Co  0.554  0.250  0.709
Co  0.946  0.750  0.209
Se  0.031  0.250  0.413
Se  0.074  0.750  0.069
Se  0.098  0.250  0.576
Se  0.121  0.250  0.232
Se  0.162  0.250  0.950
Se  0.165  0.750  0.409
Se  0.231  0.750  0.787
Se  0.236  0.750  0.104
Se  0.264  0.250  0.604
Se  0.269  0.250  0.287
Se  0.335  0.250  0.909
Se  0.338  0.750  0.450
Se  0.379  0.750  0.732
Se  0.402  0.750  0.076
Se  0.426  0.250  0.569
Se  0.469  0.750  0.913
Se  0.531  0.250  0.087
Se  0.574  0.750  0.431
Se  0.598  0.250  0.924
Se  0.621  0.250  0.268
Se  0.662  0.250  0.550
Se  0.665  0.750  0.091
Se  0.731  0.750  0.713
Se  0.736  0.750  0.396
Se  0.764  0.250  0.896
Se  0.769  0.250  0.213
Se  0.835  0.250  0.591
Se  0.838  0.750  0.050
Se  0.879  0.750  0.768
Se  0.902  0.750  0.424
Se  0.926  0.250  0.931
Se  0.969  0.750  0.587

Output
crystal system = orthorhombic
calculated formation energy = -0.88 eV per atom
E_tot = -564.2 eV/cell

Entry 2:
The following is a PBE calculation of a relaxed CoTeSe crystal, from the Materials Project database.

abc: 3.635 3.635 5.424
angles: 90.00 90.00 120.00
Element x y z (fractional)
Co  0.000  0.000  0.000
Te  0.667  0.333  0.266
Se  0.333  0.667  0.788

Output
crystal system = trigonal
calculated formation energy = -0.39 eV per atom
E_tot = -14.5 eV/cell

Entry 3:
The following is a PBE calculation of a relaxed Ti2CoSe4 crystal, from the Materials Project database.

abc: 6.842 6.842 6.144
angles: 116.35 116.35 30.40
Element x y z (fractional)
Ti  0.248  0.248  0.235
Ti  0.752  0.752  0.765
Co  0.500  0.500  0.500
Se  0.119  0.119  0.455
Se  0.386  0.386  0.050
Se  0.614  0.614  0.950
Se  0.881  0.881  0.545

Output
crystal system = monoclinic
calculated formation energy = -1.18 eV per atom
E_tot = -43.2 eV/cell

Entry 4:
The following is a PBE calculation of a relaxed Ti5CoSe10 crystal, from the Materials Project database.

abc: 6.149 7.017 8.626
angles: 107.12 110.85 90.01
Element x y z (fractional)
Ti  0.000  0.000  0.000
Ti  0.205  0.399  0.399
Ti  0.397  0.798  0.798
Ti  0.603  0.202  0.202
Ti  0.795  0.601  0.601
Co  0.500  0.500  0.000
Se  0.016  0.952  0.699
Se  0.185  0.444  0.703
Se  0.215  0.355  0.096
Se  0.386  0.844  0.104
Se  0.416  0.753  0.499
Se  0.584  0.247  0.501
Se  0.614  0.156  0.896
Se  0.785  0.645  0.904
Se  0.815  0.556  0.297
Se  0.984  0.048  0.301

Output
crystal system = triclinic
calculated formation energy = -1.32 eV per atom
E_tot = -98.0 eV/cell

Entry 5:
The following is a PBE calculation of a relaxed U8CoSe17 crystal, from the Materials Project database.

abc: 8.161 8.161 10.782
angles: 100.02 100.02 64.34
Element x y z (fractional)
U  0.180  0.697  0.797
U  0.200  0.200  0.955
U  0.303  0.820  0.203
U  0.320  0.320  0.487
U  0.680  0.680  0.513
U  0.697  0.180  0.797
U  0.800  0.800  0.045
U  0.820  0.303  0.203
Co  0.000  0.000  0.500
Se  0.000  0.000  0.000
Se  0.054  0.054  0.722
Se  0.054  0.681  0.526
Se  0.182  0.564  0.036
Se  0.215  0.215  0.223
Se  0.298  0.298  0.744
........
Outcome =
Entry 1:
The following is a PBE calculation of a relaxed Ta8CoSe8 crystal, from the Materials Project database.

abc: 22.742 3.450 17.061
angles: 90.00 90.00 90.00
Element x y z (fractional)
Ta  0.017  0.250  0.166
Ta  0.045  0.250  0.958
Ta  0.054  0.750  0.303
Ta  0.057  0.750  0.683
Ta  0.123  0.750  0.841
Ta  0.167  0.250  0.707
Ta  0.185  0.750  0.561
Ta  0.245  0.250  0.448
Ta  0.255  0.750  0.948
Ta  0.315  0.250  0.061
Ta  0.333  0.750  0.207
Ta  0.377  0.250  0.341
Ta  0.443  0.250  0.183
Ta  0.446  0.250  0.803
Ta  0.455  0.750  0.458
Ta  0.483  0.750  0.666
Ta  0.517  0.250  0.334
Ta  0.545  0.250  0.542
Ta  0.554  0.750  0.197
Ta  0.557  0.750  0.817
Ta  0.623  0.750  0.659
Ta  0.667  0.250  0.793
Ta  0.685  0.750  0.939
Ta  0.745  0.250  0.052
Ta  0.755  0.750  0.552
Ta  0.815  0.250  0.439
Ta  0.833  0.750  0.293
Ta  0.877  0.250  0.159
Ta  0.943  0.250  0.317
Ta  0.946  0.250  0.697
Ta  0.955  0.750  0.042
Ta  0.983  0.750  0.834
Co  0.054  0.250  0.791
Co  0.446  0.750  0.291
Co  0.554  0.250  0.709
Co  0.946  0.750  0.209
Se  0.031  0.250  0.413
Se  0.074  0.750  0.069
Se  0.098  0.250  0.576
Se  0.121  0.250  0.232
Se  0.162  0.250  0.950
Se  0.165  0.750  0.409
Se  0.231  0.750  0.787
Se  0.236  0.750  0.104
Se  0.264  0.250  0.604
Se  0.269  0.250  0.287
Se  0.335  0.250  0.909
Se  0.338  0.750  0.450
Se  0.379  0.750  0.732
Se  0.402  0.750  0.076
Se  0.426  0.250  0.569
Se  0.469  0.750  0.913
Se  0.531  0.250  0.087
Se  0.574  0.750  0.431
Se  0.598  0.250  0.924
Se  0.621  0.250  0.268
Se  0.662  0.250  0.550
Se  0.665  0.750  0.091
Se  0.731  0.750  0.713
Se  0.736  0.750  0.396
Se  0.764  0.250  0.896
Se  0.769  0.250  0.213
Se  0.835  0.250  0.591
Se  0.838  0.750  0.050
Se  0.879  0.750  0.768
Se  0.902  0.750  0.424
Se  0.926  0.250  0.931
Se  0.969  0.750  0.587

Output
crystal system = orthorhombic
calculated formation energy = -0.88 eV per atom
E_tot = -564.2 eV/cell

Entry 2:
The following is a PBE calculation of a relaxed CoTeSe crystal, from the Materials Project database.

abc: 3.635 3.635 5.424
angles: 90.00 90.00 120.00
Element x y z (fractional)
Co  0.000  0.000  0.000
Te  0.667  0.333  0.266
Se  0.333  0.667  0.788

Output
crystal system = trigonal
calculated formation energy = -0.39 eV per atom
E_tot = -14.5 eV/cell

Entry 3:
The following is a PBE calculation of a relaxed Ti2CoSe4 crystal, from the Materials Project database.

abc: 6.842 6.842 6.144
angles: 116.35 116.35 30.40
Element x y z (fractional)
Ti  0.248  0.248  0.235
Ti  0.752  0.752  0.765
Co  0.500  0.500  0.500
Se  0.119  0.119  0.455
Se  0.386  0.386  0.050
Se  0.614  0.614  0.950
Se  0.881  0.881  0.545

Output
crystal system = monoclinic
calculated formation energy = -1.18 eV per atom
E_tot = -43.2 eV/cell

Entry 4:
The following is a PBE calculation of a relaxed Ti5CoSe10 crystal, from the Materials Project database.

abc: 6.149 7.017 8.626
angles: 107.12 110.85 90.01
Element x y z (fractional)
Ti  0.000  0.000  0.000
Ti  0.205  0.399  0.399
Ti  0.397  0.798  0.798
Ti  0.603  0.202  0.202
Ti  0.795  0.601  0.601
Co  0.500  0.500  0.000
Se  0.016  0.952  0.699
Se  0.185  0.444  0.703
Se  0.215  0.355  0.096
Se  0.386  0.844  0.104
Se  0.416  0.753  0.499
Se  0.584  0.247  0.501
Se  0.614  0.156  0.896
Se  0.785  0.645  0.904
Se  0.815  0.556  0.297
Se  0.984  0.048  0.301

Output
crystal system = triclinic
calculated formation energy = -1.32 eV per atom
E_tot = -98.0 eV/cell

Entry 5:
The following is a PBE calculation of a relaxed U8CoSe17 crystal, from the Materials Project database.

abc: 8.161 8.161 10.782
angles: 100.02 100.02 64.34
Element x y z (fractional)
U  0.180  0.697  0.797
U  0.200  0.200  0.955
U  0.303  0.820  0.203
U  0.320  0.320  0.487
U  0.680  0.680  0.513
U  0.697  0.180  0.797
U  0.800  0.800  0.045
U  0.820  0.303  0.203
Co  0.000  0.000  0.500
Se  0.000  0.000  0.000
Se  0.054  0.054  0.722
Se  0.054  0.681  0.526
Se  0.182  0.564  0.036
Se  0.215  0.215  0.223
Se  0.298  0.298  0.744